Joint media release, ACOSS and National Welfare Rights Network, 20 September 2014
A new analysis of social security payments reveals that the single Newstart Allowance paid to over half a million Australians continued to fall in value when compared with both the minimum wage and the pension. Two leading national community welfare groups today warned that the declining relative value of some payments means increased poverty and social division.
In a joint statement today Dr Cassandra Goldie, CEO of the Australian Council of Social Service (ACOSS) and Maree O’Halloran, President of the National Welfare Rights Network (NWRN) said that: “Addressing the $170 a week gap between pensions and allowances is the most critical task that the Government’s Welfare Review Taskforce must address.
Data records from another source follow =
Here is a geometry-optimized SmSi2Ir2 structure from the Materials Project database. Energies are from PBE.

It has space group I4/mmm (No. 139), with a = 4.2314 Å, b = 4.2314 Å, c = 9.9244 Å, α = 90.00°, β = 90.00° and γ = 90.00°. The asymmetric unit holds Sm at (0.0000, 0.0000, 0.0000), Si at (0.0000, 0.5000, 0.2500) and Ir at (0.0000, 0.0000, 0.3681).

Its formation enthalpy at 0 K is -86.8 kJ per mole of atoms. The mass density is 11.0 g cm⁻³. As for the final energy: -7.549 eV per atom.

=====

Here is a geometry-optimized SmSi2Ir2 structure from the Materials Project database. Energies are from PBE.

It has space group I4/mmm (No. 139), with a = 4.1062 Å, b = 4.1062 Å, c = 10.1068 Å, α = 90.00°, β = 90.00° and γ = 90.00°. The asymmetric unit holds Sm at (0.0000, 0.0000, 0.0000), Si at (0.0000, 0.0000, 0.3770) and Ir at (0.0000, 0.5000, 0.2500).

Its formation enthalpy at 0 K is -104.2 kJ per mole of atoms. The mass density is 11.5 g cm⁻³. As for the final energy: -7.729 eV per atom.

=====

Here is a geometry-optimized TbSiIr structure from the Materials Project database. Energies are from PBE.

It has space group Pnma (No. 62), with a = 6.9270 Å, b = 4.2660 Å, c = 7.4159 Å, α = 90.00°, β = 90.00° and γ = 90.00°. The asymmetric unit holds Tb at (0.0017, 0.2500, 0.1864), Si at (0.1999, 0.2500, 0.6080) and Ir at (0.1561, 0.7500, 0.4305).

Its formation enthalpy at 0 K is -101.3 kJ per mole of atoms. The mass density is 11.5 g cm⁻³. As for the final energy: -7.349 eV per atom.

----------

[1]
! Li4V2C4SO16, optimized geometry, DFT GGA+U; values from VASP
&SYSTEM
  ibrav = 0, nat = 54, ntyp = 5
/
ATOMIC_SPECIES
Li 6.94 Li.upf
V 50.94 V.upf
C 12.01 C.upf
S 32.06 S.upf
O 16.00 O.upf
ATOMIC_POSITIONS angstrom
Li 4.8808 1.0350 5.3396
Li 8.7315 4.9940 5.3396
Li 8.1346 4.3643 8.8994
Li 11.9854 8.3233 8.8994
Li 1.0300 4.9940 5.3396
Li 4.8808 8.9530 5.3396
Li 4.2839 8.3233 8.8994
Li 8.1346 12.2824 8.8994
V 6.5077 3.3293 3.5597
V 3.2539 6.6587 3.5597
V 3.2539 3.3293 7.1195
V 6.5077 6.6587 7.1195
C 6.1817 3.7216 6.5342
C 6.1817 6.2664 4.1450
C 3.5799 3.7216 4.1450
C 9.4356 7.0510 7.7048
C 3.5799 6.2664 6.5342
C 9.4356 9.5957 10.0940
C 6.8337 7.0510 10.0940
C 6.8337 9.5957 7.7048
S 1.6269 1.6647 1.7799
S 11.3885 11.6527 12.4591
O 2.5158 0.7714 2.5886
O 2.5158 2.5580 0.9712
O 0.7381 0.7714 0.9712
O 6.9775 3.6560 5.5105
O 6.3410 5.3190 3.2761
O 4.5144 2.8472 3.9819
O 5.2472 2.8472 6.6973
O 6.9775 6.3320 5.1687
O 0.7381 2.5580 2.5886
O 3.4206 4.6690 3.2761
O 8.5011 6.1765 7.5416
O 9.5949 7.9984 6.8359
O 10.2313 6.9854 8.7285
O 6.3410 4.6690 7.4031
O 5.2472 7.1408 3.9819
O 2.7841 3.6560 5.1688
O 10.2313 9.6613 9.0702
O 7.7682 6.1765 10.2571
O 6.6744 8.6483 6.8359
O 2.7841 6.3320 5.5105
O 3.4206 5.3190 7.4031
O 4.5144 7.1408 6.6973
O 9.5949 8.6483 10.9628
O 12.2774 10.7594 11.6504
O 6.0380 6.9854 9.0702
O 7.7682 10.4701 7.5416
O 8.5011 10.4701 10.2571
O 6.6744 7.9984 10.9628
O 6.0380 9.6613 8.7285
O 12.2774 12.5460 13.2678
O 10.4997 10.7594 13.2678
“Employment goals around people with disabilities will not be achieved until the Government addresses structural problems with the payments system. These problems are at the heart of legitimate fears held by people with a disability that if a new job does not work out that they will be shunted onto the Newstart Allowance, which is now currently $8,800 a year less than the pension.
“Reports that the Government may consider up-front investments to assist young people facing complex health and personal issues are welcome but people also need an adequate income here and now.
“While today brings good news for around 3.7 million pensioners who will receive an extra $10.70 a fortnight from an indexation increase (from September 20); it is not so good for people struggling to keep their head above water on the $37 a day Newstart payment.
“Because pensions and allowances are indexed differently, people on Newstart, widow, sickness, partner and parenting payment partnered allowances will only receive a $5.10 a fortnight indexation increase in their payment from today.
(These calculated crystals were left in the text by mistake)
'''
*i*
BaNdEuNbO6: relaxed, PBE. Values from VASP.

Geometry as Quantum ESPRESSO input:
```
&SYSTEM
  ibrav = 0, nat = 20, ntyp = 5
/
ATOMIC_SPECIES
O 16.00 O.upf
Nd 144.24 Nd.upf
Eu 151.96 Eu.upf
Nb 92.91 Nb.upf
Ba 137.33 Ba.upf
CELL_PARAMETERS angstrom
6.052 0.014 0.018
0.017 6.111 -0.028
0.030 -0.036 8.601
ATOMIC_POSITIONS angstrom
O 1.931 4.407 4.667
O 0.566 2.980 1.969
O 5.533 3.109 6.622
Nd 3.026 0.007 0.009
Eu 3.092 3.295 2.158
O 1.214 1.394 8.238
O 1.438 1.196 4.637
Eu 3.007 2.794 6.433
O 4.885 4.695 0.353
O 4.409 1.907 0.398
Nd 0.024 3.038 4.286
Nb 3.041 -0.011 4.310
O 4.660 4.893 3.954
O 3.471 0.160 6.297
O 4.168 1.682 3.924
Ba 6.012 0.198 2.167
O 1.690 4.182 8.192
Nb 0.009 3.056 -0.014
O 2.627 5.929 2.293
Ba 0.087 5.891 6.423
```

Values from the calculation:
Crystal system = triclinic
Spin magnetization = 14.00 μB/cell

---

*ii*
BaNdEuNbO6: relaxed, PBE. Values from VASP.

Geometry as Quantum ESPRESSO input:
```
&SYSTEM
  ibrav = 0, nat = 10, ntyp = 5
/
ATOMIC_SPECIES
Nb 92.91 Nb.upf
O 16.00 O.upf
Eu 151.96 Eu.upf
Ba 137.33 Ba.upf
Nd 144.24 Nd.upf
CELL_PARAMETERS angstrom
0.000 -4.330 -4.330
4.330 0.000 -4.330
4.330 -4.330 0.000
ATOMIC_POSITIONS angstrom
Nb 0.000 0.000 0.000
O 4.330 -6.646 -4.330
O 6.646 -4.330 -4.330
Eu 2.165 -2.165 -2.165
O 4.330 -4.330 -6.646
O 4.330 -2.015 -4.330
Ba 6.495 -6.495 -6.495
Nd 4.330 -4.330 -4.330
O 2.015 -4.330 -4.330
O 4.330 -4.330 -2.015
```

Values from the calculation:
Crystal system = cubic
Spin magnetization = 7.00 μB/cell

---

*i* is favored, and the nearest alternative lies 6.7 kJ/mol of atoms above it.

---

*i*
BaPrEuNbO6: relaxed, PBE. Values from VASP.

Geometry as Quantum ESPRESSO input:
```
&SYSTEM
  ibrav = 0, nat = 40, ntyp = 5
/
ATOMIC_SPECIES
O 16.00 O.upf
Eu 151.96 Eu.upf
Pr 140.91 Pr.upf
Nb 92.91 Nb.upf
Ba 137.33 Ba.upf
CELL_PARAMETERS angstrom
-1.266 -1.345 8.475
-5.634 -6.305 -1.842
6.394 -5.727 0.046
ATOMIC_POSITIONS angstrom
O -4.572 -7.747 0.651
O -0.962 -3.771 3.871
Eu 0.380 -6.016 -0.898
Pr 0.253 -9.360 0.772
Eu -0.633 -0.672 4.237
O -1.165 -10.406 6.878
Nb -0.759 -4.016 5.907
O -1.705 -8.069 1.022
Ba 2.564 -3.536 4.261
O -2.661 -6.685 -1.284
O 4.601 -5.062 2.447
Ba -2.817 -3.152 -0.921
Eu -3.450 -3.825 3.317
O 0.586 -8.380 5.759
O 1.540 -7.354 0.939
Pr -3.576 -7.169 4.987
Nb -2.944 -6.496 0.749
O -2.460 -2.956 6.159
Pr 2.438 -6.880 5.930
O -0.557 -4.262 7.944
O 3.371 -5.399 -0.179
Nb 3.070 -6.208 1.693
Nb -0.379 -10.032 5.010
O 1.225 -11.195 5.402
O -1.984 -8.869 4.617
O -4.182 -4.924 0.476
O 0.304 -2.260 6.002
O -1.345 -11.685 4.260
O -3.226 -6.308 2.782
Ba 0.000 0.000 0.000
O -1.315 -5.246 0.847
Pr -0.126 -3.344 1.670
O 2.770 -7.016 3.565
Ba -0.253 -6.688 3.340
Eu 3.197 -2.864 0.023
O 0.406 -9.659 3.141
O -1.822 -5.773 5.813
O 4.405 -7.678 1.322
O 1.736 -4.738 2.064
O 0.942 -5.077 5.656
```

Values from the calculation:
Crystal system = orthorhombic
Spin magnetization = 0.00 μB/cell

---

*ii*
BaPrEuNbO6: relaxed, PBE. Values from VASP.

Geometry as Quantum ESPRESSO input:
'''
“There are currently 695,000 people on the Newstart Allowance. Three in four are single, and are struggling to meet their weekly daily expenses on the maximum rate of just $257.80 per week (from today).
“These new rates of income support payments this quarter highlight deepening fault lines in Australia’s social security arrangements.
“The rate of the Newstart Allowance relative to the minimum wage is near its lowest level since 1990. The Newstart Allowance has fallen from 54 per cent in 1996 to 40.2 per cent of the National Minimum Wage, which now stands at $640.90 per week.
“This means that people relying on allowances are falling behind community living standards, and underlies the importance of indexing payments to wages. Current proposals to index pensions to prices would inevitably see pensions falling behind community living standards over time and should be opposed.
“The maximum payments for a single pensioner is now $854.30 a fortnight ($22,212 per year). Unemployed people on the single Newstart Allowance receive much less, at $257.80 per week, or 40% less than the pension.
“But unemployed people aren’t the only people being short-changed by today’s indexation changes. Young people on Youth Allowance and Austudy get nothing, and their even lower payments are indexed only once a year, while pensions and allowances are indexed every six months. The 114,700 single parents raising children on the maximum Newstart Allowance will receive a small increase of a mere $2.75 a week. Being pushed onto Newstart means that these families are now $81.20 a week or over $4,222 a year worse off, compared to Parenting Payment Single.
== Here the entry breaks off for calculated crystals ==
=====
Record 1
Computed, not measured: a relaxed structure of DyZn2 at the PBE level of DFT.

* energy: -33.22 eV per cell

Unit cell a=4.5096 b=7.1535 c=7.4682 alpha=90.00 beta=90.00 gamma=90.00
Space group Imma (No. 74)
Symmetry-distinct sites (fractional):
1 Dy 0.0000 0.2500 0.0359 (multiplicity 4)
2 Zn 0.0000 0.0486 0.6663 (multiplicity 8)

Record 2
Computed, not measured: a relaxed structure of RbCuF3 at the PBE level of DFT.

* energy: -21.07 eV per cell

Unit cell a=4.1412 b=4.1412 c=4.1412 alpha=90.00 beta=90.00 gamma=90.00
Space group Pm-3m (No. 221)
Symmetry-distinct sites (fractional):
1 Rb 0.0000 0.0000 0.0000 (multiplicity 1)
2 Cu 0.5000 0.5000 0.5000 (multiplicity 1)
3 F 0.0000 0.5000 0.5000 (multiplicity 3)

Record 3
Computed, not measured: a relaxed structure of CsI3 at the PBE level of DFT.

* energy: -35.19 eV per cell

Unit cell a=11.3180 b=7.2266 c=10.4659 alpha=90.00 beta=90.00 gamma=90.00
Space group Pnma (No. 62)
Symmetry-distinct sites (fractional):
1 Cs 0.1772 0.2500 0.0294 (multiplicity 4)
2 I 0.0647 0.7500 0.2638 (multiplicity 4)
3 I 0.1297 0.2500 0.5553 (multiplicity 4)
4 I 0.1682 0.7500 0.8675 (multiplicity 4)

Record 4
Computed, not measured: a relaxed structure of SmGdSe2 at the PBE level of DFT.

* energy: -99.42 eV per cell

Unit cell a=4.1559 b=4.1559 c=20.5267 alpha=90.00 beta=90.00 gamma=120.00
Space group R-3m (No. 166, hexagonal axes)
Symmetry-distinct sites (fractional):
=====
“The artificial divide between pensions and allowances must be addressed by increasing the rate of allowance payments and indexing payments consistently to wages to prevent more people falling further and further behind the rest of the community. Anything less is not the genuine welfare reform that this country needs.”
Media contacts:
ACOSS Media Adviser: Fernando De Freitas 0419 626 155
NWRN Policy and Media Officer: Gerard Thomas 0425 296 882